Contents:
<<<
(1)
The following is a PBE calculation of crystalline Mg2SbIr at its relaxed geometry, from Alexandria via LeMat-Bulk.

As for the formation energy without anion corrections: -0.292 eV/f.u.

The space group is I-42d (No. 122) and the conventional cell measures 10.0922, 10.0922 and 4.9505 Å, with angles of 90.00, 90.00 and 90.00 degrees. The asymmetric unit holds Mg at (0.0008, 0.2500, 0.1250), Sb at (0.0000, 0.0000, 0.5000) and Ir at (0.0000, 0.0000, 0.0000).

(2)
The following is a PBE calculation of crystalline Mg2Sb2Ir at its relaxed geometry, from Alexandria via LeMat-Bulk.

As for the formation energy without anion corrections: -0.178 eV/f.u.

The space group is P4/mbm (No. 127) and the conventional cell measures 6.9064, 6.9064 and 4.7994 Å, with angles of 90.00, 90.00 and 90.00 degrees. The asymmetric unit holds Mg at (0.1700, 0.3300, 0.0000), Sb at (0.1499, 0.6499, 0.5000) and Ir at (0.0000, 0.0000, 0.5000).

(3)
The following is a PBE calculation of crystalline Mg2SbIr at its relaxed geometry, from Alexandria via LeMat-Bulk.

As for the formation energy without anion corrections: -0.680 eV/f.u.

The space group is Cmmm (No. 65) and the conventional cell measures 5.7658, 8.0524 and 3.1829 Å, with angles of 90.00, 90.00 and 90.00 degrees. The asymmetric unit holds Mg at (0.2500, 0.2500, 0.0000), Sb at (0.0000, 0.0000, 0.5000) and Ir at (0.0000, 0.5000, 0.5000).

(4)
The following is a PBE calculation of crystalline MgSb2Ir at its relaxed geometry, from Alexandria via LeMat-Bulk.

As for the formation energy without anion corrections: -0.606 eV/f.u.

The space group is Cmmm (No. 65) and the conventional cell measures 5.0652, 9.8925 and 4.2401 Å, with angles of 90.00, 90.00 and 90.00 degrees. The asymmetric unit holds Mg at (0.0000, 0.0000, 0.0000), Sb at (0.0000, 0.3412, 0.5000) and Ir at (0.0000, 0.5000, 0.0000).

(5)
The following is a PBE calculation of crystalline Mg2SbIr at its relaxed geometry, from Alexandria via LeMat-Bulk.

As for the formation energy without anion corrections: -0.875 eV/f.u.

The space group is P4/mmm (No. 123) and the conventional cell measures 4.2127, 4.2127 and 4.1059 Å, with angles of 90.00, 90.00 and 90.00 degrees. The asymmetric unit holds Mg at (0.0000, 0.5000, 0.0000), Sb at (0.0000, 0.0000, 0.5000) and Ir at (0.5000, 0.5000, 0.5000).

(6)
The following is a PBE calculation of crystalline Mg2SbIr at its relaxed geometry, from Alexandria via LeMat-Bulk.

As for the formation energy without anion corrections: -0.829 eV/f.u.

The space group is I4/mmm (No. 139) and the conventional cell measures 4.1168, 4.1168 and 8.5876 Å, with angles of 90.00, 90.00 and 90.00 degrees. The asymmetric unit holds Mg at (0.0000, 0.5000, 0.2500), Sb at (0.0000, 0.0000, 0.0000) and Ir at (0.0000, 0.0000, 0.5000).

(7)
The following is a PBE calculation of crystalline MgSb2Ir at its relaxed geometry, from Alexandria via LeMat-Bulk.

As for the formation energy without anion corrections: -0.593 eV/f.u.

The space group is C2/m (No. 12) and the conventional cell measures 6.8856, 3.9766 and 7.2863 Å, with angles of 90.00, 108.28 and 90.00 degrees. The asymmetric unit holds Mg at (0.0000, 0.0000, 0.0000), Sb at (0.2334, 0.0000, 0.7006) and Ir at (0.0000, 0.5000, 0.5000).

(8)
The following is a PBE calculation of crystalline MgSb2Ir at its relaxed geometry, from Alexandria via LeMat-Bulk.

As for the formation energy without anion corrections: 0.394 eV/f.u.

The space group is I-4m2 (No. 119) and the conventional cell measures 4.2847, 4.2847 and 8.8945 Å, with angles of 90.00, 90.00 and 90.00 degrees. The asymmetric unit holds Mg at (0.0000, 0.0000, 0.0000), Sb at (0.0000, 0.0000, 0.5000), Sb at (0.0000, 0.5000, 0.7500) and Ir at (0.0000, 0.5000, 0.2500).

(9)
The following is a PBE calculation of crystalline MgSbIr3 at its relaxed geometry, from Alexandria via LeMat-Bulk.
>>>

To do:
Type out everything above unchanged.

Here it is:
(1)
The following is a PBE calculation of crystalline Mg2SbIr at its relaxed geometry, from Alexandria via LeMat-Bulk.

As for the formation energy without anion corrections: -0.292 eV/f.u.

The space group is I-42d (No. 122) and the conventional cell measures 10.0922, 10.0922 and 4.9505 Å, with angles of 90.00, 90.00 and 90.00 degrees. The asymmetric unit holds Mg at (0.0008, 0.2500, 0.1250), Sb at (0.0000, 0.0000, 0.5000) and Ir at (0.0000, 0.0000, 0.0000).

(2)
The following is a PBE calculation of crystalline Mg2Sb2Ir at its relaxed geometry, from Alexandria via LeMat-Bulk.

As for the formation energy without anion corrections: -0.178 eV/f.u.

The space group is P4/mbm (No. 127) and the conventional cell measures 6.9064, 6.9064 and 4.7994 Å, with angles of 90.00, 90.00 and 90.00 degrees. The asymmetric unit holds Mg at (0.1700, 0.3300, 0.0000), Sb at (0.1499, 0.6499, 0.5000) and Ir at (0.0000, 0.0000, 0.5000).

(3)
The following is a PBE calculation of crystalline Mg2SbIr at its relaxed geometry, from Alexandria via LeMat-Bulk.

As for the formation energy without anion corrections: -0.680 eV/f.u.

The space group is Cmmm (No. 65) and the conventional cell measures 5.7658, 8.0524 and 3.1829 Å, with angles of 90.00, 90.00 and 90.00 degrees. The asymmetric unit holds Mg at (0.2500, 0.2500, 0.0000), Sb at (0.0000, 0.0000, 0.5000) and Ir at (0.0000, 0.5000, 0.5000).

(4)
The following is a PBE calculation of crystalline MgSb2Ir at its relaxed geometry, from Alexandria via LeMat-Bulk.

As for the formation energy without anion corrections: -0.606 eV/f.u.

The space group is Cmmm (No. 65) and the conventional cell measures 5.0652, 9.8925 and 4.2401 Å, with angles of 90.00, 90.00 and 90.00 degrees. The asymmetric unit holds Mg at (0.0000, 0.0000, 0.0000), Sb at (0.0000, 0.3412, 0.5000) and Ir at (0.0000, 0.5000, 0.0000).

(5)
The following is a PBE calculation of crystalline Mg2SbIr at its relaxed geometry, from Alexandria via LeMat-Bulk.

As for the formation energy without anion corrections: -0.875 eV/f.u.

The space group is P4/mmm (No. 123) and the conventional cell measures 4.2127, 4.2127 and 4.1059 Å, with angles of 90.00, 90.00 and 90.00 degrees. The asymmetric unit holds Mg at (0.0000, 0.5000, 0.0000), Sb at (0.0000, 0.0000, 0.5000) and Ir at (0.5000, 0.5000, 0.5000).

(6)
The following is a PBE calculation of crystalline Mg2SbIr at its relaxed geometry, from Alexandria via LeMat-Bulk.

As for the formation energy without anion corrections: -0.829 eV/f.u.

The space group is I4/mmm (No. 139) and the conventional cell measures 4.1168, 4.1168 and 8.5876 Å, with angles of 90.00, 90.00 and 90.00 degrees. The asymmetric unit holds Mg at (0.0000, 0.5000, 0.2500), Sb at (0.0000, 0.0000, 0.0000) and Ir at (0.0000, 0.0000, 0.5000).

(7)
The following is a PBE calculation of crystalline MgSb2Ir at its relaxed geometry, from Alexandria via LeMat-Bulk.

As for the formation energy without anion corrections: -0.593 eV/f.u.

The space group is C2/m (No. 12) and the conventional cell measures 6.8856, 3.9766 and 7.2863 Å, with angles of 90.00, 108.28 and 90.00 degrees. The asymmetric unit holds Mg at (0.0000, 0.0000, 0.0000), Sb at (0.2334, 0.0000, 0.7006) and Ir at (0.0000, 0.5000, 0.5000).

(8)
The following is a PBE calculation of crystalline MgSb2Ir at its relaxed geometry, from Alexandria via LeMat-Bulk.

As for the formation energy without anion corrections: 0.394 eV/f.u.

The space group is I-4m2 (No. 119) and the conventional cell measures 4.2847, 4.2847 and 8.8945 Å, with angles of 90.00, 90.00 and 90.00 degrees. The asymmetric unit holds Mg at (0.0000, 0.0000, 0.0000), Sb at (0.0000, 0.0000, 0.5000), Sb at (0.0000, 0.5000, 0.7500) and Ir at (0.0000, 0.5000, 0.2500).

(9)
The following is a PBE calculation of crystalline MgSbIr3 at its relaxed geometry, from Alexandria via LeMat-Bulk.